Material
=====
Material: LaAlO3
Method: DFT, PBE
State: optimized geometry

Lattice parameters (Å, degrees): 3.7958 5.8569 6.1960 107.35 94.26 107.06
Last column: nearest neighbours and their distance in Å.
Space group P1 (No. 1)
Symmetry-distinct sites (fractional):
La: 0.0000 0.0000 0.0000  4 O 2.28-2.52
La: 0.2547 0.3993 0.6934  6 O 2.33-2.52
Al: 0.4992 0.9278 0.3787  6 O 1.90-2.01
Al: 0.8168 0.5742 0.3862  5 O 1.78-1.90
O: 0.3208 0.5871 0.3754  3 Al 1.90
O: 0.4144 0.7563 0.0364  1 Al 2.01
O: 0.6247 0.1145 0.7076  1 Al 1.95
O: 0.6392 0.2293 0.2887  2 Al 1.82-1.95
O: 0.8609 0.6397 0.6891  1 Al 1.78
O: 0.9848 0.8990 0.3677  3 Al 1.86-1.90

Properties
- Energy relative to the elements: -3.494 eV per atom
- Corrected total energy (MP2020 scheme): -81.99 eV for the cell shown
- Spin magnetization: 0.0 μB/cell
- V: 61.85 Å³/f.u.

~~~~~

No. 1
## ZrUO4 (GGA-PBE)

Data for a geometry-optimized ZrUO4 structure.

Values from the calculation:
- Total energy: -59.0 eV per cell
- E_form: -22.164 eV per formula unit
- Magnetic moment: 0.33 μB/atom
- Calculated volume: 12.4 Å³/atom
- Symmetry: No. 166

Geometry as extended XYZ:
```
6
Lattice="6.1711 -1.8769 0.0000 6.1711 1.8769 0.0000 5.6003 0.0000 3.2004" Properties=species:S:1:pos:R:3 pbc="T T T"
Zr 8.9713 0.0000 1.6002
U 0.0000 0.0000 0.0000
O 11.1529 0.0000 1.9893
O 2.3092 0.0000 0.4119
O 15.6333 0.0000 2.7885
O 6.7896 0.0000 1.2111
```

No. 2
## In (GGA-PBE)

Data for a geometry-optimized In structure.

Values from the calculation:
- Total energy: -10.8 eV per cell
- E_form: 0.050 eV per formula unit
- Calculated volume: 27.3 Å³/atom
- Offset from the most stable computed form: 4.8 kJ/mol of atoms
- Symmetry: No. 194

Geometry as extended XYZ:
```
4
Lattice="-2.7426 -0.0970 2.0467 1.8702 -2.8252 -0.4910 6.1702 2.6260 8.3925" Properties=species:S:1:pos:R:3 pbc="T T T"
In 0.0000 0.0000 0.0000
In 1.8751 -1.2593 2.4530
In 3.0851 1.3130 4.1962
In 3.4226 0.9631 7.4952
```

No. 3
## NdSi3Ru (GGA-PBE)

Data for a geometry-optimized NdSi3Ru structure.

Values from the calculation:
- Total energy: -33.8 eV per cell
- E_form: -3.469 eV per formula unit
- Calculated volume: 17.9 Å³/atom
- Symmetry: No. 107

Geometry as extended XYZ:
```
5
Lattice="-2.1182 2.1182 4.9728 2.1182 -2.1182 4.9728 2.1182 2.1182 -4.9728" Properties=species:S:1:pos:R:3 pbc="T T T"
Nd 0.0000 0.0000 9.9365
Si 0.0000 0.0000 4.1573
Si 2.1182 0.0000 2.5954
Si 0.0000 2.1182 2.5954
Ru 0.0000 0.0000 6.5146
```

No. 4
## InRhO3 (GGA-PBE)

Data for a geometry-optimized InRhO3 structure.

Values from the calculation:
- Total energy: -243.4 eV per cell
- E_form: -7.532 eV per formula unit
- Magnetic moment: 0.00 μB/atom
- Calculated volume: 11.5 Å³/atom
- Symmetry: No. 14

Geometry as extended XYZ:
```
40
Lattice="-5.2325 -3.2539 -4.6320 0.9548 -6.7247 3.6454 -4.6649 -4.6598 8.5431" Properties=species:S:1:pos:R:3 pbc="T T T"
In -6.7809 -9.5243 4.7960
In -4.5029 -7.2283 0.4762
In -2.1617 -5.1141 2.7605
In -4.4396 -7.4101 7.0803
In -4.8420 -3.7453 -1.3176
In -7.3402 -6.1783 2.8073
In -4.1005 -10.8931 8.8740
In -1.6024 -8.4601 4.7492
Rh -4.9487 -3.9568 1.9556
Rh 0.0000 0.0000 0.0000
Rh -2.1388 -4.9893 -0.4933
Rh -1.8550 -5.6923 6.0942
Rh -2.6162 -1.6269 -2.3160
Rh -2.3324 -2.3299 4.2715
Rh -4.4713 -7.3192 3.7782
Rh 0.4774 -3.3624 1.8227
O -8.9491 -9.6759 4.4216
O -4.2809 -5.8934 2.2178
O 0.0066 -4.9625 3.1349
O -4.6617 -8.7450 5.3387
O -3.5724 -4.6138 6.7687
O -3.4419 -3.6532 0.5479
O -5.3702 -10.0246 0.7878
O -5.5007 -10.9852 7.0085
O -5.2562 -10.8902 3.9339
O -7.5621 -13.2036 8.2289
O -3.6863 -3.7482 3.6226
O -1.3804 -1.4348 -0.6724
O -1.4484 -2.9672 2.4879
O -5.3916 -6.2987 5.3336
O -7.4941 -11.6712 5.0686
O -3.5510 -8.3397 2.2228
O -6.3216 -8.1010 3.2194
O -3.9964 -5.7757 -1.0586
O -2.6210 -6.5374 4.3371
O -4.9461 -8.8627 8.6151
O -6.6245 -7.0018 0.8271
O -7.3634 -8.3408 6.5092
O -2.3181 -7.6366 6.7294
O -1.5791 -6.2976 1.0473
```

No. 5
## CdP4 (GGA-PBE)

Data for a geometry-optimized CdP4 structure.

Values from the calculation:
=====

Work order
Quote the whole of the lines earlier on verbatim.

Written answer
Material: LaAlO3
Method: DFT, PBE
State: optimized geometry

Lattice parameters (Å, degrees): 3.7958 5.8569 6.1960 107.35 94.26 107.06
Last column: nearest neighbours and their distance in Å.
Space group P1 (No. 1)
Symmetry-distinct sites (fractional):
La: 0.0000 0.0000 0.0000  4 O 2.28-2.52
La: 0.2547 0.3993 0.6934  6 O 2.33-2.52
Al: 0.4992 0.9278 0.3787  6 O 1.90-2.01
Al: 0.8168 0.5742 0.3862  5 O 1.78-1.90
O: 0.3208 0.5871 0.3754  3 Al 1.90
O: 0.4144 0.7563 0.0364  1 Al 2.01
O: 0.6247 0.1145 0.7076  1 Al 1.95
O: 0.6392 0.2293 0.2887  2 Al 1.82-1.95
O: 0.8609 0.6397 0.6891  1 Al 1.78
O: 0.9848 0.8990 0.3677  3 Al 1.86-1.90

Properties
- Energy relative to the elements: -3.494 eV per atom
- Corrected total energy (MP2020 scheme): -81.99 eV for the cell shown
- Spin magnetization: 0.0 μB/cell
- V: 61.85 Å³/f.u.

~~~~~

No. 1
## ZrUO4 (GGA-PBE)

Data for a geometry-optimized ZrUO4 structure.

Values from the calculation:
- Total energy: -59.0 eV per cell
- E_form: -22.164 eV per formula unit
- Magnetic moment: 0.33 μB/atom
- Calculated volume: 12.4 Å³/atom
- Symmetry: No. 166

Geometry as extended XYZ:
```
6
Lattice="6.1711 -1.8769 0.0000 6.1711 1.8769 0.0000 5.6003 0.0000 3.2004" Properties=species:S:1:pos:R:3 pbc="T T T"
Zr 8.9713 0.0000 1.6002
U 0.0000 0.0000 0.0000
O 11.1529 0.0000 1.9893
O 2.3092 0.0000 0.4119
O 15.6333 0.0000 2.7885
O 6.7896 0.0000 1.2111
```

No. 2
## In (GGA-PBE)

Data for a geometry-optimized In structure.

Values from the calculation:
- Total energy: -10.8 eV per cell
- E_form: 0.050 eV per formula unit
- Calculated volume: 27.3 Å³/atom
- Offset from the most stable computed form: 4.8 kJ/mol of atoms
- Symmetry: No. 194

Geometry as extended XYZ:
```
4
Lattice="-2.7426 -0.0970 2.0467 1.8702 -2.8252 -0.4910 6.1702 2.6260 8.3925" Properties=species:S:1:pos:R:3 pbc="T T T"
In 0.0000 0.0000 0.0000
In 1.8751 -1.2593 2.4530
In 3.0851 1.3130 4.1962
In 3.4226 0.9631 7.4952
```

No. 3
## NdSi3Ru (GGA-PBE)

Data for a geometry-optimized NdSi3Ru structure.

Values from the calculation:
- Total energy: -33.8 eV per cell
- E_form: -3.469 eV per formula unit
- Calculated volume: 17.9 Å³/atom
- Symmetry: No. 107

Geometry as extended XYZ:
```
5
Lattice="-2.1182 2.1182 4.9728 2.1182 -2.1182 4.9728 2.1182 2.1182 -4.9728" Properties=species:S:1:pos:R:3 pbc="T T T"
Nd 0.0000 0.0000 9.9365
Si 0.0000 0.0000 4.1573
Si 2.1182 0.0000 2.5954
Si 0.0000 2.1182 2.5954
Ru 0.0000 0.0000 6.5146
```

No. 4
## InRhO3 (GGA-PBE)

Data for a geometry-optimized InRhO3 structure.

Values from the calculation:
- Total energy: -243.4 eV per cell
- E_form: -7.532 eV per formula unit
- Magnetic moment: 0.00 μB/atom
- Calculated volume: 11.5 Å³/atom
- Symmetry: No. 14

Geometry as extended XYZ:
```
40
Lattice="-5.2325 -3.2539 -4.6320 0.9548 -6.7247 3.6454 -4.6649 -4.6598 8.5431" Properties=species:S:1:pos:R:3 pbc="T T T"
In -6.7809 -9.5243 4.7960
In -4.5029 -7.2283 0.4762
In -2.1617 -5.1141 2.7605
In -4.4396 -7.4101 7.0803
In -4.8420 -3.7453 -1.3176
In -7.3402 -6.1783 2.8073
In -4.1005 -10.8931 8.8740
In -1.6024 -8.4601 4.7492
Rh -4.9487 -3.9568 1.9556
Rh 0.0000 0.0000 0.0000
Rh -2.1388 -4.9893 -0.4933
Rh -1.8550 -5.6923 6.0942
Rh -2.6162 -1.6269 -2.3160
Rh -2.3324 -2.3299 4.2715
Rh -4.4713 -7.3192 3.7782
Rh 0.4774 -3.3624 1.8227
O -8.9491 -9.6759 4.4216
O -4.2809 -5.8934 2.2178
O 0.0066 -4.9625 3.1349
O -4.6617 -8.7450 5.3387
O -3.5724 -4.6138 6.7687
O -3.4419 -3.6532 0.5479
O -5.3702 -10.0246 0.7878
O -5.5007 -10.9852 7.0085
O -5.2562 -10.8902 3.9339
O -7.5621 -13.2036 8.2289
O -3.6863 -3.7482 3.6226
O -1.3804 -1.4348 -0.6724
O -1.4484 -2.9672 2.4879
O -5.3916 -6.2987 5.3336
O -7.4941 -11.6712 5.0686
O -3.5510 -8.3397 2.2228
O -6.3216 -8.1010 3.2194
O -3.9964 -5.7757 -1.0586
O -2.6210 -6.5374 4.3371
O -4.9461 -8.8627 8.6151
O -6.6245 -7.0018 0.8271
O -7.3634 -8.3408 6.5092
O -2.3181 -7.6366 6.7294
O -1.5791 -6.2976 1.0473
```

No. 5
## CdP4 (GGA-PBE)

Data for a geometry-optimized CdP4 structure.

Values from the calculation: